
2022 Legislative Session Overview

The 2022 Spring legislative session adjourned in the early hours of the morning on Saturday, April 9th. Despite this year’s shortened session, we passed a responsible and balanced budget, provided tax relief for Illinois families and advanced a significant package of crime-fighting, public safety measures.

┌──
[1]
The following is a quantum chemistry calculation of a 3-piece molecular cluster, C19H27F16NO8S overall at a distorted geometry, from OMol25.

Output
highest occupied orbital energy: -0.34667 Eh
gap between HOMO and LUMO: 0.35392 Ha
SMILES: FC(F)C(F)(F)COC(F)(F)C(F)F.FC(F)C(F)(F)COC(F)(F)C(F)F.O=C(OS)N(CCCCO)COCOCCO

```
72
Properties=species:S:1:pos:R:3:forces:R:3
H 4.395 -1.091 3.052 0.179 0.171 -2.255
C -0.588 -0.197 1.299 -0.310 -0.295 0.956
O 4.012 -6.922 2.240 -7.804 3.248 -0.452
C -0.679 0.380 -0.120 -0.876 0.538 -1.803
C -1.308 -4.934 0.048 -0.304 -1.057 -0.748
F 0.697 -0.206 1.744 -0.224 0.232 -0.402
O -3.546 -2.646 3.147 -2.305 -1.175 -0.440
F -1.300 0.539 2.189 0.167 -0.451 -0.479
C 0.450 7.615 -3.783 0.419 -0.084 1.092
F -3.513 1.680 1.320 0.283 0.391 -0.098
F -4.058 3.350 0.038 0.546 0.189 0.030
O -0.828 6.205 -2.126 0.186 -1.425 -1.348
H -0.331 7.540 -5.810 -0.078 0.066 0.174
F 1.176 4.552 -3.341 -0.536 -0.190 0.554
O 0.173 -4.896 -0.154 -1.735 -0.642 1.974
C -0.841 7.346 -2.991 -0.585 0.691 0.678
H 0.292 -6.551 1.198 1.145 2.212 -0.190
F -0.194 2.862 -3.441 -0.431 0.365 0.208
N 2.284 -5.731 0.928 -1.154 0.181 2.484
H 4.425 0.184 1.598 0.118 -2.606 0.671
H -4.573 -4.410 2.283 0.967 2.042 -0.585
C -2.479 1.838 -0.798 -0.331 -0.283 -0.980
H -3.069 -2.384 0.188 -0.033 -2.226 1.001
C 0.797 -5.482 1.042 -1.631 -0.956 1.423
S 2.786 -6.874 4.748 -0.623 0.713 0.597
C -1.980 3.498 1.116 0.228 0.867 0.780
F 0.609 8.974 -3.842 -0.317 -0.354 -0.405
C 4.488 -0.970 1.885 -0.230 -0.044 -1.013
F 1.644 7.339 -5.814 -0.155 0.194 0.345
H 2.501 -5.711 5.529 -0.056 -1.153 -1.432
C -3.146 -3.460 0.686 -0.933 0.528 -0.089
F 1.512 7.153 -3.070 -0.298 0.037 -0.434
H -1.658 4.295 0.440 -0.113 -0.108 -0.123
F -2.524 4.089 2.214 -0.228 -0.152 -0.270
F -0.057 1.580 -0.246 0.391 -0.776 0.059
H -5.075 -2.652 1.650 1.862 -1.757 0.286
H -4.308 -2.588 3.821 1.857 -0.077 -1.521
H 2.370 -1.173 0.981 2.019 -1.663 0.274
F -1.601 5.192 -3.999 -0.028 -0.813 0.734
H -0.969 -1.221 1.328 -0.001 -0.029 -0.234
O 5.825 -1.426 1.385 -1.853 -0.999 0.957
H 5.772 -2.428 1.358 0.143 1.768 0.104
F -2.138 4.411 -2.050 0.508 0.019 -0.143
C 3.341 -1.837 1.071 -0.100 0.686 -0.052
C -1.112 4.959 -2.755 -0.882 2.051 -0.052
H 2.784 -3.958 -0.403 0.014 -1.624 2.012
F -0.886 2.833 1.550 -0.358 0.435 0.021
H 3.971 -3.515 2.481 -2.166 0.212 -1.149
H -1.679 -5.995 0.445 1.183 2.017 -0.733
C 3.036 -3.323 1.775 1.262 0.827 -0.388
H -0.969 8.197 -2.310 0.290 -0.240 -0.078
H 4.208 -4.813 0.491 -2.522 0.632 0.251
H 0.361 3.724 -1.730 -0.166 0.096 0.086
H 0.509 -4.818 1.982 0.690 -1.240 -1.940
H -1.802 -4.814 -1.029 1.297 0.220 2.314
O -1.787 -3.943 1.028 -0.948 -0.504 -1.834
H -3.678 -4.194 -0.090 1.132 1.574 1.679
H -1.734 7.369 -3.626 0.354 -0.166 -0.048
O -2.019 0.499 -0.587 1.423 0.425 1.206
H -3.337 1.724 -1.471 0.069 -0.043 0.342
C 0.086 3.999 -2.751 1.023 -0.422 -0.185
F 0.297 5.732 -5.259 0.181 0.516 -0.196
C -4.162 -3.349 1.974 -0.396 0.495 -0.138
H 2.053 -3.280 2.408 1.889 -0.184 -1.288
└──

My Legislative Agenda

SB 180 Legislative Accessibility Act
This bill is designed to make the Capitol and the legislative process more equitable and accessible for people with disabilities. An initiative of Access Living, the Legislative Accessibility Act creates a task force in the legislature to identify and address gaps in accessibility accommodations. As part of this measure, each chamber of the General Assembly will have a designated point person to contact to request reasonable accommodations. With 2.3 million Illinoisans living with disabilities, we must ensure that our Capitol and legislative process is welcoming for everyone.

HB 260 – Using Technology to Address Violent Crime
This bill facilitates the use of cameras and other technologies to assist law enforcement with the real time investigation of crimes such as carjackings, shootings and other violent crimes by providing for the installation and use of additional automatic license plate readers on expressways and DuSable Lake Shore Drive. This bill balances this critical law enforcement tool with privacy concerns by limiting the use and retention of images for certain, enumerated offenses only.

SB 3130 – Search and Reunion Services for Youth in Care
This bill expands search and reunion opportunities for youth in care and former youth in care through the Department of Children and Family Services. An initiative of the Cook County Public Guardian’s Office, SB3130 enables current and former foster children over the age of 18 to utilize existing search and reunion services to connect with former foster parents and foster siblings, in addition to birth relatives and siblings.

HB 5026 – Funding for Breast and Cervical Cancer Screenings
Illinoisans who purchase a special license plate promoting breast cancer awareness will see their money directed towards the Illinois Breast and Cervical Cancer program. This program, administered through the Illinois Department of Public Health, provides free mammograms, breast exams and pelvic exams to eligible individuals.

HR 709 – Girls & Women in Sports Month
This Resolution acknowledges the accomplishments of female athletes by declaring February 2022 as “Girls & Women in Sports Month” in the State of Illinois. We understand the invaluable role that sports can have in the growth and development of girls and recognize the ability of sports to teach collaborative teamwork skills that are integral to academic and professional success.

CEJA Implementation Continues
In September of 2021, the Climate and Equitable Jobs Act (CEJA), was signed into law by Governor Pritzker. As the Chair of the House Energy & Environment Committee and chief House sponsor of the original Clean Energy Jobs Act, I felt it important to share the progress being made toward implementation of the Act.

As such, on March 15th – exactly six months after CEJA became law – the Energy & Environment committee hosted a subject matter hearing on implementation of the historic legislation. During the hearing, we heard testimony from the Illinois Commerce Commission, Illinois Power Agency, Illinois Environmental Protection Agency and Department of Economic Opportunity on the status of CEJA implementation and the steps being taken to ensure all aspects of the law – from environmental justice measures to goals for decarbonization – are being met.

I will continue to keep the public updated on the implementation and ongoing impacts of CEJA and other clean energy initiatives advanced in the General Assembly. Environmental justice remains a top priority as we continue to put climate and communities first.

Addressing Violent Crime and Carjacking
Addressing violent crime and carjacking continues to be a top priority for me and other local officials. I worked throughout the session to direct more resources toward law enforcement and violence prevention, ensuring a comprehensive approach. The FY23 budget includes $250M for violence prevention tools, $124M to local law enforcement and $48M to provide additional tools and resources to prevent carjacking. More funds will be also directed toward domestic violence programs and victim assistance programs.

In addition to the bill I sponsored providing resources for expressway cameras and ALPRs, there are several other public safety initiatives headed to the Governor’s desk.

HB 1568 – Police Retention and Recruitment Package
This bill creates deferred retirement option plans for Illinois State Police troopers and sheriff’s law enforcement employees, and lowers the retirement age for select Illinois State Police employees from 60 to 55 years of age. An Illinois Law Enforcement Recruitment and Retention Board (which includes representation from Chicago) is created. The Illinois Law Enforcement Training and Standards Board, the Illinois Board of Higher Education, and the Illinois Community College Board are tasked with creating a report with recommendations to the General Assembly for establishing minimum requirements for credits that may transfer from Illinois colleges to satisfy the requirements of law enforcement courses.

HB 1091 – Organized Retail Crime Act
This comprehensive proposal was designed to combat the organized retail crime that has plagued neighborhoods across Chicago, addressing the problem from multiple angles. This includes providing prosecutors with more tools to hold criminals accountable, dedicating state funds to investigate and prosecute the criminal rings, requiring more oversight of third-party marketplaces where stolen goods are sold, and the creation of a statewide intelligence gathering and sharing platform to allow retailers and law enforcement agencies to better coordinate. The bill creates and defines the violation of “organized retail crime” and specifically targets those organizing these crimes, which is defined as an individual who knowingly recruits, organizes, supervises, manages, finances or otherwise directs others to commit organized retail crime, which includes smash and grab robberies as well as the looting of supply chain vehicles.

HB 1571 – First Responder and Shift Worker Child Care
This bill creates the Off-Hours Child Care Act, which allows the Department of Human Services the flexibility to design an off-hours child care program that meets the needs of first responders and off-hours workers. The legislation recognizes that finding child care is a burden on third shift workers (e.g. firefighters, paramedics, police, nurses, etc.) as most child care centers in Illinois are only open during normal work hours.

HB 1321 – Law Enforcement Mental Health
This bill creates a fund and grant program to provide behavioral health services to first responders.

Fiscal Year 2023 Budget
The FY23 State Budget passed the Illinois General Assembly and is on the Governor’s desk. As a cornerstone of the budget, we ensured $1.8B in aid for people and families to combat inflation, entitled the Illinois Family Relief Plan.

Key initiatives to fight inflation include:

  • Suspending the grocery tax for a year.
  • Freezing the gas tax for six months.
  • Providing for a property tax rebate.
  • An expansion of the Earned Income Tax Credit program.

The budget prioritizes critical human services, education, health equity and public safety, including:

  • $35oM increase for evidence-based education funding.
  • $150M for new affordable housing units, and $275M for affordable housing development programs.
  • $450M for the Healthcare Transformation Collaborative program for care in underserved areas.
  • $130M for legal assistance for those facing eviction as a result of COVID-19.
  • $68M in funding for universities and community colleges.
  • $113M to replace lead service lines.

The FY23 budget is balanced and fiscally responsible. Toward that end, we include:

## Unrelated to this piece: records of molecules
********
No. 1
The following is a DFT calculation (wB97M-V/def2-TZVPD) of a molecular structure, C26H25N3O3Pt in a non-equilibrium geometry.

Last column: Mulliken charge in e.
Cartesian coordinates (Å):
Pt (0.060, 0.764, -0.036)  0.4906
C (4.300, 1.691, 0.470)  -0.5436
O (3.568, 2.825, 0.034)  -0.4082
C (2.300, 2.466, -0.081)  0.2590
N (2.053, 1.146, 0.107)  0.0253
C (3.349, 0.496, 0.207)  -0.0390
C (3.509, -0.636, 1.185)  -0.2368
C (2.532, -0.983, 2.113)  0.3804
C (2.744, -2.043, 2.977)  -0.9201
C (3.929, -2.774, 2.914)  -0.4959
C (4.923, -2.411, 2.014)  -0.7028
C (4.711, -1.358, 1.147)  -0.4803
C (1.251, 3.353, -0.416)  0.4278
C (1.263, 4.742, -0.577)  -0.5641
C (0.080, 5.395, -0.877)  -0.4186
C (-1.131, 4.691, -0.950)  -0.6310
C (-1.108, 3.322, -0.747)  0.5499
N (0.070, 2.685, -0.564)  -0.1529
C (-2.202, 2.400, -0.606)  0.4557
N (-1.960, 1.163, -0.198)  -0.4477
C (-3.241, 0.489, -0.051)  -0.1353
C (-4.261, 1.589, -0.464)  -0.4253
O (-3.459, 2.717, -0.797)  -0.4329
C (-3.382, -0.766, -0.883)  0.0292
C (-2.453, -1.105, -1.861)  -0.1094
C (-2.626, -2.257, -2.612)  -0.8121
C (-3.745, -3.057, -2.415)  -0.5695
C (-4.692, -2.704, -1.460)  -0.6861
C (-4.504, -1.573, -0.687)  -0.5297
H (4.510, 1.802, 1.541)  0.3758
H (5.241, 1.657, -0.080)  0.3631
H (3.578, 0.071, -0.789)  0.3705
H (1.612, -0.410, 2.166)  0.5381
H (1.994, -2.295, 3.710)  0.4562
H (4.069, -3.628, 3.560)  0.4332
H (5.853, -2.959, 1.983)  0.4237
H (5.476, -1.091, 0.435)  0.4431
H (2.188, 5.283, -0.452)  0.5313
H (0.080, 6.465, -1.014)  0.4962
H (-2.065, 5.197, -1.135)  0.5334
H (-3.368, 0.222, 1.007)  0.4170
H (-4.936, 1.884, 0.343)  0.3171
H (-4.849, 1.312, -1.344)  0.3833
H (-1.612, -0.453, -2.067)  0.7069
H (-1.901, -2.517, -3.368)  0.4913
H (-3.883, -3.946, -3.012)  0.4494
H (-5.573, -3.311, -1.324)  0.4466
H (-5.239, -1.308, 0.057)  0.4747
C (-1.491, -2.480, 1.486)  -0.7774
O (-0.309, -1.739, 1.179)  -0.1162
C (-0.094, -1.293, -0.068)  0.4730
C (0.871, -2.016, -0.946)  -1.1303
H (-1.943, -2.891, 0.584)  0.3011
H (-2.214, -1.862, 2.023)  0.2526
H (-1.177, -3.291, 2.143)  0.3439
H (0.404, -2.954, -1.259)  0.4569
H (1.784, -2.264, -0.399)  0.2853
H (1.117, -1.453, -1.844)  0.3837

Output
DFT total energy = -41210.936 eV
Molecular weight = 622.58 g mol⁻¹
LUMO energy = -7.58 eV
HOMO = -14.19 eV
Charge = +2

=====

No. 2
The following is a DFT calculation (wB97M-V/def2-TZVPD) of a molecular structure, C26H25N5PtS3Si in a non-equilibrium geometry.

Last column: Mulliken charge in e.
Cartesian coordinates (Å):
Pt (-0.540, 0.940, 0.858)  0.9639
C (0.942, 0.134, 6.240)  -0.4107
C (1.059, 1.501, 6.006)  -0.7251
C (1.014, 1.990, 4.718)  -0.3806
C (0.861, 1.096, 3.653)  0.1899
C (0.711, -0.273, 3.887)  0.0698
C (0.755, -0.748, 5.181)  -0.9406
N (0.898, 1.548, 2.326)  0.8413
N (1.515, 2.585, 2.041)  -0.8167
C (1.306, 3.118, 0.778)  0.2997
C (2.053, 4.181, 0.319)  -0.4397
C (1.789, 4.700, -0.939)  -0.3543
C (0.767, 4.155, -1.696)  -0.8286
C (0.057, 3.079, -1.184)  0.1178
N (0.329, 2.564, 0.014)  0.1174
********

  • $9.6B to fully fund our pension obligation for FY23, and an additional $200M pension payment.
  • $4B to pay down unpaid bills.
  • $1B to the once-depleted “Rainy Day Fund.”

Investing in the Tourism and Hospitality Industry
As a member of the Tourism Committee and champion for small businesses, I believe it is critical we continue to prioritize COVID-19 recovery. This year’s budget includes:

  • $75M toward the Hotel Jobs Recovery Grant Program to continue to rehire workers who lost their positions as a result of the COVID-19 pandemic.
  • $50M in funding for small businesses in the hospitality industry, including restaurants, bars and breweries.

Other Legislative Session Highlights
In addition to my legislative agenda, I co-sponsored several bills in an effort to make Illinois a better place to work and live. Some highlights include:


HB 5285 – School Assessment Restrictions
Also known as the Too Young to Test Act, this legislation amends the school code to prohibit the Illinois State Board of Education from developing, funding, or requiring standardized testing for Pre-K through 2nd grade students. This bill passed the House chamber on March 3, 2022 and currently awaits action by the Senate.

Gun Violence Prevention

HB 4383 – Ghost Gun Ban
This bill immediately prohibits the sale of unserialized gun parts, as these can be used to build ghost guns. The bill also requires that all unserialized guns must be serialized in the next six months. In the fight to stop gun violence, the passage of this bill marks a monumental step towards smart, safe firearm ownership. This bill awaits action by the Governor.

HB 4729 – Safe Gun Storage
This legislation addresses the increasing violence in Illinois by developing and implementing a two-year statewide safe gun storage public awareness campaign. Specifically, it provides that the campaign must include focused and sustained messaging paired with information about enforcement or incentives for safe gun storage, and geographic and cultural considerations. This bill awaits action by the Governor.

LGBTQ+ Health Services

SB 3490 – Commission on LGBTQ+ Aging
This bill will create the Illinois Commission on LGBTQ+ Aging. Particularly, the Commission will be required to investigate, analyze, and study the health, housing, financial, psychosocial, home-and-community-based services, assisted living, and long-term care needs of LGBTQ+ older adults and their caregivers. The bill also provides that at least seven citizen members of the Commission shall represent underrepresented communities. The bill awaits action by the Governor.

HB 4430 – PrEP and PEP Bill
This legislation amends the Pharmacy Practice Act by authorizing pharmacists to prescribe and administer drugs, laboratory tests, assessments, referrals, and consultations for HIV pre-exposure and post-exposure prophylaxis. The legislation also provides that patient care services ordered and administered by a pharmacist shall be covered and reimbursed at no less than 85% of the rate that the services are covered and reimbursed when ordered or administered by a physician. This bill awaits action by the Governor.

_Unrelated to this piece: records of molecules_
Density functional theory data (ωB97M-V/def2-TZVPD) for a molecular structure, C27H35BiN4O3S.

Geometry as XYZ:
```
71
Properties=species:S:1:pos:R:3:forces:R:3:lowdin_charge:R:1
Bi 1.782 -0.987 -0.036 -0.007 0.024 0.020 1.916
C 4.331 1.503 -0.157 -0.006 0.011 -0.018 -0.180
C 2.924 2.071 -0.016 -0.006 0.002 0.003 -0.188
N 1.951 1.310 -0.829 0.000 0.000 0.009 -0.159
C 2.119 1.521 -2.290 -0.004 -0.011 -0.020 -0.150
C 2.107 0.228 -3.101 0.016 -0.016 0.011 -0.192
N 2.885 -0.822 -2.422 -0.004 0.016 -0.020 -0.149
C 4.347 -0.571 -2.405 0.008 -0.017 0.020 -0.179
C 4.984 -0.744 -1.033 -0.008 0.005 -0.011 -0.206
N 4.321 0.043 0.026 -0.004 -0.008 0.020 -0.156
H 4.977 1.988 0.577 0.001 0.001 -0.002 0.136
H 4.750 1.750 -1.132 0.005 0.001 0.005 0.113
H 2.917 3.129 -0.291 -0.003 0.002 -0.004 0.136
H 2.597 1.999 1.023 0.005 -0.002 0.005 0.101
H 1.012 1.594 -0.561 -0.001 -0.005 0.006 0.093
H 3.058 2.049 -2.448 -0.001 0.005 0.001 0.113
H 1.332 2.178 -2.661 0.005 0.001 0.002 0.138
H 2.504 0.442 -4.099 -0.007 0.002 0.002 0.136
H 1.089 -0.139 -3.215 0.000 0.012 0.009 0.102
H 2.707 -1.701 -2.896 0.007 -0.002 0.004 0.127
H 4.531 0.433 -2.787 0.001 0.003 0.004 0.112
H 4.854 -1.247 -3.095 -0.003 0.004 -0.003 0.137
H 6.047 -0.493 -1.118 -0.002 -0.001 -0.001 0.134
H 4.932 -1.794 -0.734 0.002 -0.005 -0.003 0.119
H 4.769 -0.188 0.905 -0.003 -0.006 -0.001 0.122
C -3.334 0.652 -4.540 0.007 0.012 -0.007 -0.040
O -3.677 -0.630 -4.022 -0.009 0.000 0.001 -0.034
C -2.920 -1.169 -3.070 0.026 -0.026 0.017 -0.262
C -3.325 -2.440 -2.616 -0.008 0.005 -0.007 0.027
C -2.608 -3.050 -1.635 -0.006 0.009 0.003 -0.001
C -1.455 -2.467 -1.048 0.017 0.004 -0.001 -0.112
C -0.785 -3.163 0.018 -0.012 -0.003 0.012 -0.369
C -1.345 -4.442 0.569 -0.005 0.013 0.015 0.008
O 0.273 -2.745 0.547 0.010 0.015 -0.018 -0.212
C -1.051 -1.196 -1.528 -0.051 0.023 0.016 -0.307
O -0.008 -0.491 -1.069 0.031 -0.034 -0.028 -0.351
C -1.795 -0.562 -2.525 -0.003 0.019 -0.015 0.053
H -4.083 0.878 -5.290 0.001 -0.003 0.001 0.104
H -2.346 0.629 -5.004 -0.003 -0.002 -0.001 0.100
H -3.363 1.408 -3.753 -0.002 -0.001 0.000 0.098
H -4.199 -2.896 -3.058 0.000 -0.009 0.004 0.134
H -2.934 -4.022 -1.293 -0.003 -0.006 -0.002 0.118
H -2.367 -4.299 0.923 -0.001 -0.007 -0.001 0.104
H -0.717 -4.780 1.388 0.005 0.001 -0.004 0.093
H -1.370 -5.215 -0.200 0.003 -0.004 -0.006 0.105
H -1.471 0.418 -2.844 0.001 -0.004 0.000 0.112
N 0.762 0.149 1.651 -0.005 -0.027 -0.035 -0.457
S -0.859 0.018 1.764 0.010 0.016 0.003 1.087
C -1.545 1.633 1.515 0.045 0.029 0.022 -0.427
C -2.837 1.684 1.013 -0.027 0.013 -0.004 -0.069
C -3.427 2.924 0.813 -0.004 -0.013 -0.005 -0.045
C -2.720 4.084 1.097 0.010 0.007 0.001 -0.043
C -1.418 4.017 1.582 -0.011 -0.004 0.004 -0.050
C -0.821 2.784 1.796 -0.015 -0.001 -0.021 -0.090
C -1.171 -0.321 3.481 0.021 -0.076 -0.012 -0.382
C -0.896 -1.629 3.876 -0.011 0.028 0.021 -0.080
C -1.100 -1.982 5.198 -0.003 0.012 0.003 -0.048
C -1.585 -1.042 6.100 0.003 -0.017 0.001 -0.041
C -1.867 0.251 5.687 0.001 0.020 -0.001 -0.043
_The piece goes on_

Community Health and Safety

HB 4165 – Lake Michigan Rescue Equipment Act
This bill creates the Lake Michigan Rescue Equipment Act. It provides that rescue equipment, including 100 inches of line, must be installed by the owner of each pier and drop-off along the Lake Michigan coast, as well as within 200 feet of the shoreline of any designated high-incident drowning area. This bill also requires that each unit of local government owning a pier or drop-off on Lake Michigan shall track fatal and non-fatal drowning incidents near its property and report the data to the Illinois Department of Public Health. This bill awaits action by the Governor.

HB 1592 – Mental Health Inpatient Facility Access Act
This bill directs the Illinois Department of Human Services to create a plan to maximize the use of existing state-operated psychiatric beds for non-forensic cases through staff training, regular assessments to ensure patients continue to meet the legal requirements for court-ordered inpatient care, and improved outpatient services.

HB 4388 – Alzheimer’s Training
To begin in the licensing renewal period on or after January 1, 2023, this legislation requires emergency medical services (EMS) personnel to complete at least one 1-hour course of training on the diagnosis, treatment, and care of individuals with Alzheimer’s disease or dementia.

Environmental Protections

SB 1234 – EPA Emissions testing station in Chicago
This bill amends the Illinois Highway Code by requiring the Environmental Protection Agency to reopen the emissions testing site in Illinois. For many in our district hoping to have their car emissions tested, they currently have to drive to the suburbs for services. This update ensures we are meeting our commitments to environmental justice in our community. This bill awaits action by the Governor.

Public Safety

HB3988 – Task Force on Missing and Murdered Chicago Women
This legislation creates a new act establishing the “Task Force on Missing and Murdered Chicago Women” to examine and report information including underlying factors, systemic causes, data, policies, institutions, and practices related to or having an impact on violence against women and girls in Chicago. This bill awaits action by the Governor.